(Data)
********
Record 1
# C4H8N2O2

An isolated molecule of C4H8N2O2 (the ωB97M-V functional and the def2-TZVPD basis, the OMol25 dataset).

Values from the calculation:
energy above the lowest of the compared OMol25 structures with the same formula, charge and spin	97.4	kcal per mole
orbital gap	9.10	eV
structure (SMILES)	C/C(=C\N)C(=O)NO
highest occupied orbital energy	-8.413	eV

Last column: Mulliken charge in e.
Atoms and positions in Å:
C1 -1.43989 1.50539 0.23352  -1.346
C2 -0.50527 0.31101 0.15591  0.314
C3 -1.05644 -0.94725 -0.05773  -0.107
C4 0.85289 0.69636 -0.09617  0.352
H1 -1.79512 1.51672 1.23518  0.328
H2 -2.33083 1.34683 -0.47410  0.263
H3 -0.98957 2.57453 -0.07057  0.254
H4 -0.41544 -1.73663 -0.27277  0.523
H5 -3.07114 -0.35046 -0.10846  0.175
H6 -2.66110 -1.98980 -0.51482  0.228
H7 2.80647 -0.03330 0.42053  0.308
H8 2.29825 -2.21707 -0.26793  0.370
N1 -2.43870 -1.12311 -0.11712  -0.410
N2 1.92890 -0.34209 -0.24511  -0.226
O1 1.19035 1.82897 -0.18579  -0.565
O2 1.63706 -1.60990 0.33272  -0.461

Record 2
# C13H20InN5O11P2

A structure of composition C13H20InN5O11P2 (the ωB97M-V functional and the def2-TZVPD basis, the OMol25 dataset).

Values from the calculation:
energy above the lowest of the compared OMol25 structures with the same formula, charge and spin	12.8	kcal per mole
orbital gap	7.28	eV
highest occupied orbital energy	-7.966	eV

Last column: Mulliken charge in e.
Atoms and positions in Å:
In1 -0.08060 -0.44510 -0.21440  2.464
O1 -2.24440 -3.74550 4.50130  -0.542
C1 -1.93240 -2.91610 3.68700  0.454
C2 -2.69160 -2.54210 2.42670  0.054
O2 -3.85410 -2.76600 2.17330  -0.616
C3 -1.71510 -1.82180 1.60660  0.676
C4 -0.53710 -1.59920 2.31320  0.746
O3 0.48930 -1.01610 1.76530  -0.970
C5 -0.66170 -2.07870 3.68880  0.099
O4 0.04610 -1.82410 4.63750  -0.623
O5 -1.88510 -1.42860 0.38830  -1.032
N1 2.98240 -2.22130 -2.62390  -0.240
C6 2.64560 -0.77290 -2.64200  0.658
C7 3.44510 0.03070 -3.62670  -1.756
P1 0.83830 -0.73960 -2.97560  0.955
O6 0.87850 -1.58470 -4.35900  -0.650
O7 0.28800 -1.70860 -1.92470  -0.902
O8 0.16610 0.55950 -3.09620  -0.676
P2 2.90560 -0.13800 -0.91010  0.700
O9 2.71090 -1.57110 -0.14960  -0.600
O10 4.24620 0.41520 -0.74180  -0.841
O11 1.69760 0.70280 -0.54500  -0.413
H1 2.93460 -2.62410 -3.56710  0.399
H2 2.23340 -2.63370 -2.03070  0.344
H3 3.89600 -2.39110 -2.18390  0.367
H4 3.31370 -0.33410 -4.64520  0.454
H5 4.50090 0.05230 -3.35760  0.423
H6 3.07030 1.05260 -3.57240  0.387
H7 0.01200 -1.55880 -4.76810  0.371
H8 2.49710 -1.37120 0.76910  0.367
C8 -1.66410 1.76440 1.14930  -0.766
N2 -2.43580 2.97690 1.26180  0.069
C9 -3.57350 2.88960 0.35210  -0.706
N3 -3.13420 2.72140 -1.02820  0.036
C10 -2.35000 1.51100 -1.13170  -0.736
N4 -1.17970 1.56420 -0.23180  0.184
C11 -0.36490 2.73610 -0.61190  -0.725
N5 -1.13580 3.95370 -0.50800  0.130
C12 -1.60040 4.10430 0.86450  -0.657
C13 -2.29290 3.85750 -1.38830  -0.705
H9 -2.29160 0.91030 1.42730  0.326
H10 -0.79840 1.80450 1.82170  0.309
H11 -4.16580 3.80470 0.43070  0.343
H12 -4.19280 2.03560 0.63820  0.349
H13 -1.98600 1.38710 -2.15770  0.316
H14 -2.95960 0.64320 -0.85530  0.344
H15 -0.01730 2.59420 -1.63940  0.070
H16 0.50240 2.78860 0.05120  0.429
H17 -2.17810 5.02760 0.95540  0.318
H18 -0.73670 4.15560 1.53170  0.345
H19 -1.94700 3.73160 -2.41750  0.341
H20 -2.88210 4.77500 -1.31010  0.328

Record 3
# C3H8FKO3SZn

A structure of composition C3H8FKO3SZn (the ωB97M-V functional and the def2-TZVPD basis, the OMol25 dataset).

Values from the calculation:
charge	+2
energy above the lowest of the compared OMol25 structures with the same formula, charge and spin	2.4	kcal per mole
orbital gap	2.38	eV
highest occupied orbital energy	-15.912	eV

Last column: Mulliken charge in e.
Atoms and positions in Å:
Zn1 16.89651 3.91199 -2.33040  1.289
K1 19.71606 5.90700 -3.35587  0.964
F1 18.65135 3.30650 -2.67794  -0.302
O1 21.62197 -0.67080 -5.36512  -0.562
S1 20.74632 0.29289 -4.80326  1.228
O2 19.60662 0.71665 -5.54875  -0.630
O3 20.16359 -0.23303 -3.38596  -0.327
********

(Job)
Type out the rows above from the line with "-3.56710" to the end verbatim.

(Response)
H1 2.93460 -2.62410 -3.56710  0.399
H2 2.23340 -2.63370 -2.03070  0.344
H3 3.89600 -2.39110 -2.18390  0.367
H4 3.31370 -0.33410 -4.64520  0.454
H5 4.50090 0.05230 -3.35760  0.423
H6 3.07030 1.05260 -3.57240  0.387
H7 0.01200 -1.55880 -4.76810  0.371
H8 2.49710 -1.37120 0.76910  0.367
C8 -1.66410 1.76440 1.14930  -0.766
N2 -2.43580 2.97690 1.26180  0.069
C9 -3.57350 2.88960 0.35210  -0.706
N3 -3.13420 2.72140 -1.02820  0.036
C10 -2.35000 1.51100 -1.13170  -0.736
N4 -1.17970 1.56420 -0.23180  0.184
C11 -0.36490 2.73610 -0.61190  -0.725
N5 -1.13580 3.95370 -0.50800  0.130
C12 -1.60040 4.10430 0.86450  -0.657
C13 -2.29290 3.85750 -1.38830  -0.705
H9 -2.29160 0.91030 1.42730  0.326
H10 -0.79840 1.80450 1.82170  0.309
H11 -4.16580 3.80470 0.43070  0.343
H12 -4.19280 2.03560 0.63820  0.349
H13 -1.98600 1.38710 -2.15770  0.316
H14 -2.95960 0.64320 -0.85530  0.344
H15 -0.01730 2.59420 -1.63940  0.070
H16 0.50240 2.78860 0.05120  0.429
H17 -2.17810 5.02760 0.95540  0.318
H18 -0.73670 4.15560 1.53170  0.345
H19 -1.94700 3.73160 -2.41750  0.341
H20 -2.88210 4.77500 -1.31010  0.328

Record 3
# C3H8FKO3SZn

A structure of composition C3H8FKO3SZn (the ωB97M-V functional and the def2-TZVPD basis, the OMol25 dataset).

Values from the calculation:
charge	+2
energy above the lowest of the compared OMol25 structures with the same formula, charge and spin	2.4	kcal per mole
orbital gap	2.38	eV
highest occupied orbital energy	-15.912	eV

Last column: Mulliken charge in e.
Atoms and positions in Å:
Zn1 16.89651 3.91199 -2.33040  1.289
K1 19.71606 5.90700 -3.35587  0.964
F1 18.65135 3.30650 -2.67794  -0.302
O1 21.62197 -0.67080 -5.36512  -0.562
S1 20.74632 0.29289 -4.80326  1.228
O2 19.60662 0.71665 -5.54875  -0.630
O3 20.16359 -0.23303 -3.38596  -0.327